Positive Results in VA’s Efforts to Bring Telehealth to Veterans
JAMIA recently published their study on the US Department of Veteran Affairs (VA) initiative to bring telehealth to Veterans in serious need of healthcare and with barriers to accessing care. Eighty-six VA facilities provided tablets with telehealth capabilities to 6,745 patients.
Why did this initiative take place?
The study states that “Geographic and travel barriers are potentially the greatest obstacle to VA access” and that “Over half of Veterans living in rural areas receive their primary care at larger urban VA facilities, making receipt of appropriate and timely care challenging for them.” A report from the VHA Office of Rural Health notes that nearly a third of the approximately 9 million enrolled veterans receiving VA healthcare live in rural, highly rural, or insular island areas.
The study acknowledges that another impediment to healthcare, particularly mental healthcare, among veterans is the perceived stigma of seeking such care. The study also states that “Veterans in rural areas are significantly less likely to receive mental health treatment, such as psychotherapy than those living in urban settings.”
Implementation of the Initiative
The VA’s Offices of Rural Health and Connected Care created an effort to bring access to healthcare directly to Veterans with barriers to in-person care by providing them with tablets that had secure video technology. The study states that “The tablets have built-in WiFi or 4G mobile data connectivity and pre-paid access to a national wireless provider’s data network” and that “The devices were preconfigured by the vendor to be compatible with VA OI&T requirements including encryption. They were loaded with videoconferencing software and VA mobile apps but did not allow for other connectivity outside of the VA environment.”
Patients were issued these devices and received telehealth services from their providers during scheduled “clinical video to home” visits. The study states, “Tablet appointments could be used for any care that didn’t require physical contact.”
There were clearly identifiable barriers. The most common obstacles were staff-shortage and lack of telehealth training according to surveys of participants and project leads. “Interviews with FTCs and telehealth leads echoed the survey findings and suggest that most implementation barriers were related to staffing and training needs, and clinician engagement.”
The surveys indicated that anywhere from 44-53% (depending on the distribution sites) of the barriers to implementation were due to “Training Needs for the Tablet Initiative.”
Conclusion and Next Steps
According to the JAMIA report, “VA’s initiative to distribute video telehealth tablets to high-need patients appears to have successfully reached individuals with social and clinical access barriers. Implementation strategies that address staffing constraints and provider engagement may enhance the impact of such efforts.”
The VA, according to their MISSION ACT of 2018, committed to offering any patient interested in video telehealth the ability to receive this care by 2020. This means addressing the connectivity issue many Veterans face without home internet connectivity or living in regions without broadband connectivity. It also will require the VA to establish staffing and training initiatives in the implementation of telehealth and for them to address the reasons why some patients did not utilize the tools they were given for remote care.
-- Crystal structures, as found in the file --
-- begin --
Record 1
Computed, not measured: a relaxed Li2CuNi2 crystal at the GGA-PBE level of DFT.

Computed properties:
volume	12.27	Å³ per atom
SG	No. 139
Fermi-level density of states	3.80	states/eV/cell
magnetization	0.00	μB/cell
uncorrected energy	-3.5161	eV per atom

a b c (Å): 3.1419 3.1419 12.4247
angles (deg): 90.00 90.00 90.00
Atoms (fractional coordinates):
Li (0.0000, 0.5000, 0.2500)
Li (0.0000, 0.5000, 0.7500)
Li (0.5000, 0.0000, 0.2500)
Li (0.5000, 0.0000, 0.7500)
Cu (0.0000, 0.0000, 0.0000)
Cu (0.5000, 0.5000, 0.5000)
Ni (0.0000, 0.0000, 0.4046)
Ni (0.0000, 0.0000, 0.5954)
Ni (0.5000, 0.5000, 0.0954)
Ni (0.5000, 0.5000, 0.9046)

=====

Record 2
Computed, not measured: a relaxed LiCu6Ni4 crystal at the GGA-PBE level of DFT.

Computed properties:
volume	13.79	Å³ per atom
SG	No. 121
Fermi-level density of states	9.11	states/eV/cell
magnetization	0.00	μB/cell
uncorrected energy	-4.1844	eV per atom

a b c (Å): 6.1323 6.1323 6.1323
angles (deg): 124.12 124.12 83.00
Atoms (fractional coordinates):
Li (0.0000, 0.0000, 0.0000)
Cu (0.0000, 0.5000, 0.5000)
Cu (0.0839, 0.5664, 0.0000)
Cu (0.4336, 0.4336, 0.5175)
Cu (0.5000, 0.0000, 0.5000)
Cu (0.5664, 0.0839, 0.0000)
Cu (0.9161, 0.9161, 0.4825)
Ni (0.2580, 0.2580, 0.6982)
Ni (0.4402, 0.7420, 0.0000)
Ni (0.5598, 0.5598, 0.3018)
Ni (0.7420, 0.4402, 0.0000)

=====

Record 3
Computed, not measured: a relaxed Li2Cu3Ni4 crystal at the GGA-PBE level of DFT.

Computed properties:
volume	11.41	Å³ per atom
SG	No. 12
Fermi-level density of states	8.51	states/eV/cell
magnetization	0.31	μB/cell
uncorrected energy	-4.3694	eV per atom

a b c (Å): 6.6844 6.6844 6.9252
angles (deg): 114.80 114.80 21.54
Atoms (fractional coordinates):
Li (0.1627, 0.1627, 0.0043)
Li (0.8373, 0.8373, 0.9957)
Cu (0.3516, 0.3516, 0.3352)
Cu (0.5000, 0.5000, 0.0000)
Cu (0.6484, 0.6484, 0.6648)
Ni (0.0184, 0.0184, 0.3312)
Ni (0.3167, 0.3167, 0.6612)
Ni (0.6833, 0.6833, 0.3388)
Ni (0.9816, 0.9816, 0.6688)

=====

Record 4
Computed, not measured: a relaxed Li3CuNi crystal at the GGA-PBE level of DFT.

Computed properties:
volume	14.63	Å³ per atom
SG	No. 12
Fermi-level density of states	3.96	states/eV/cell
magnetization	0.00	μB/cell
uncorrected energy	-3.0527	eV per atom

a b c (Å): 5.0404 5.0404 6.4721
angles (deg): 90.76 90.76 62.89
Atoms (fractional coordinates):
Li (0.0000, 0.0000, 0.0000)
Li (0.2486, 0.2486, 0.3109)
Li (0.2502, 0.7498, 0.5000)
Li (0.5000, 0.5000, 0.0000)
Li (0.7498, 0.2502, 0.5000)
Li (0.7514, 0.7514, 0.6891)
Cu (0.2510, 0.2510, 0.6933)
Cu (0.7490, 0.7490, 0.3067)
Ni (0.0000, 0.5000, 0.0000)
Ni (0.5000, 0.0000, 0.0000)

=====

Record 5
Computed, not measured: a relaxed Li5CuNi crystal at the GGA-PBE level of DFT.

Computed properties:
volume	14.89	Å³ per atom
SG	No. 15
Fermi-level density of states	6.08	states/eV/cell
magnetization	0.00	μB/cell
uncorrected energy	-2.7339	eV per atom

a b c (Å): 4.6467 4.6467 9.7306
angles (deg): 91.65 91.65 83.28
Atoms (fractional coordinates):
Li (0.0412, 0.3355, 0.6013)
-- stop --
As far as training initiatives go, we have your team covered. Let us know how we can help increase the quantity and quality of your telehealth services.